Mr. Reloaded

**Quantum chemistry results from another source follow:**
+++
Record 1
Molecular formula: C35H33CoF10N7O2S
Method: DFT, ωB97M-V/def2-TZVPD

Structure (XYZ):
```
89
Properties=species:S:1:pos:R:3:forces:R:3
Co 1.09670 -0.32736 -0.18913 -0.1 -0.2 0.7
C 2.23210 -2.85491 1.28113 0.0 0.0 -0.2
N 1.76948 -1.48018 1.47083 -0.3 0.3 -0.1
C 2.89254 -0.61630 1.89351 0.1 0.0 0.0
C 3.81193 -0.34050 0.70971 -0.1 -0.2 -0.2
N 2.98504 -0.20479 -0.48596 0.6 0.1 -0.1
C 3.56314 0.36711 -1.59399 -0.1 -0.1 0.0
C 3.44621 -0.24886 -2.85296 0.0 0.0 0.0
F 2.89592 -1.47132 -2.93867 0.0 0.0 0.0
C 3.90338 0.32226 -4.02530 -0.1 -0.1 0.0
F 3.76069 -0.32295 -5.18932 0.0 0.0 0.0
C 4.53115 1.55196 -3.99742 0.0 0.1 -0.1
F 4.96176 2.12541 -5.12674 0.0 0.0 0.0
C 4.69742 2.18375 -2.78225 0.1 0.1 0.1
F 5.28129 3.38723 -2.73924 0.0 0.0 0.0
C 4.22654 1.60264 -1.61984 0.0 0.1 0.0
F 4.37349 2.30840 -0.48277 0.0 0.0 0.0
C 0.61211 -1.43750 2.39749 0.0 -0.1 0.1
C -0.65185 -1.64304 1.59381 0.1 0.0 -0.3
N -0.67477 -0.60572 0.56640 -0.4 0.0 0.3
C -1.85521 -0.43893 -0.10678 0.2 0.1 0.1
C -2.29397 0.85280 -0.45766 0.0 0.0 0.0
F -1.62311 1.92859 -0.00151 0.0 0.0 -0.1
C -3.42807 1.10103 -1.20157 0.0 0.1 0.0
F -3.77611 2.36323 -1.49138 0.0 0.0 0.0
C -4.23706 0.05920 -1.61243 -0.1 0.0 -0.1
F -5.34103 0.29187 -2.33394 0.0 0.0 0.0
C -3.88191 -1.22326 -1.25166 0.0 -0.1 0.1
F -4.64552 -2.25212 -1.63580 0.0 0.0 0.0
C -2.72618 -1.45831 -0.52601 0.0 -0.1 -0.1
F -2.42815 -2.74796 -0.27670 0.0 0.0 0.0
H 2.68200 -3.23615 2.20517 0.0 0.0 0.0
H 2.97167 -2.89354 0.48124 0.0 0.0 0.0
H 1.39540 -3.49867 1.01307 0.0 0.0 0.0
H 3.46341 -1.08258 2.70678 -0.1 0.0 0.1
H 2.46184 0.31425 2.26480 0.0 0.0 0.0
H 4.51711 -1.17611 0.57842 0.0 0.0 0.1
H 4.41507 0.54111 0.94008 0.0 0.0 0.1
H 0.59041 -0.45372 2.86454 0.0 0.0 0.0
H 0.70445 -2.20679 3.17445 0.1 0.0 0.0
H -1.52739 -1.56787 2.25100 0.0 0.0 0.0
H -0.64918 -2.66306 1.18146 -0.1 0.0 0.1
O -1.33111 -6.28545 -5.10202 0.0 0.0 0.0
C -0.93511 -6.06740 -3.82846 0.0 0.0 0.0
O -0.80122 -6.99089 -3.07961 0.0 0.0 0.1
C -0.66786 -4.64613 -3.43358 0.0 0.0 0.0
C 0.10337 -4.43047 -2.29897 0.1 0.0 0.1
C 0.40460 -3.14491 -1.89558 0.1 0.0 0.1
C -0.05500 -2.04929 -2.61400 0.0 -0.1 0.0
C -0.87240 -2.25910 -3.72030 -0.1 0.2 0.0
C -1.16649 -3.54819 -4.12882 0.0 0.0 0.0
N 0.32425 -0.77241 -2.13445 0.1 -0.7 0.4
C 0.28915 0.24655 -2.87066 0.0 0.4 -0.6
C 0.64092 1.54853 -2.29543 0.0 0.1 -0.1
C 0.71007 2.68641 -3.07573 0.0 0.0 -0.2
C 1.10555 3.87707 -2.48717 0.0 0.0 0.0
C 1.41907 3.87185 -1.14274 0.0 0.0 0.0
C 1.31290 2.68346 -0.43081 0.0 0.0 0.2
N 0.91982 1.54692 -0.98797 0.0 -0.1 -0.2
H -1.30639 -5.46972 -5.61592 0.0 0.0 0.0
H 0.46596 -5.28933 -1.74955 0.0 0.0 0.0
H 1.02676 -2.95616 -1.03048 0.0 0.0 0.0
H -1.30960 -1.42204 -4.25097 0.0 0.0 0.0
H -1.82635 -3.67701 -4.98004 0.0 0.0 0.0
H 0.05799 0.18825 -3.93584 -0.1 0.1 0.0
H 0.46543 2.62199 -4.12925 0.0 0.1 0.0
H 1.17505 4.78790 -3.06779 0.0 0.0 0.0
H 1.74689 4.76977 -0.63756 0.0 0.0 0.0
H 1.54161 2.64803 0.62434 0.0 0.0 0.0
C -3.30539 4.51307 3.20760 0.0 0.0 0.0
C -3.29780 3.03912 3.58973 0.1 0.0 -0.1
+++

Cause a pirate is free
I was under the impression you really liked it.

Loved it. But the game still had a good number of flaws (mainly in character writing) that I'm sure the sequel will fix.

But still not good enough for Slackavists to throw hissy fits over
Why ? Why being glad that a transphobe got paid plenty because of a game ? There is no rationnal reason to be "glad" here. Unless you are a Far right troll who only want progressive militant to be targeted of course.
I'm happy because people with disingenuous intentions didn't get their way.

Why cry over some random Warner Bros game when should go boycott Universal. She gets royalties for that.
Why? Because slacktivism. People who aren't actually interesting doing anything productive for the cause, but sure as hell love mashing on their keyboards while staying anonymous. :ihaha:

Loved it. But the game still had a good number of flaws (mainly in character writing) that I'm sure the sequel will fix.

But still not good enough for Slackavists to throw hissy fits over

I'm happy because people with disingenuous intentions didn't get their way.

Why cry over some random Warner Bros game when should go boycott Universal. She gets royalties for that.
Why? Because slacktivism. People who aren't actually interesting doing anything productive for the cause, but sure as hell love mashing on their keyboards while staying anonymous. :ihaha:
Damn. Sick burn.


I'm just saying, if they can't:
Fuck (it should stay this way though, they shouldn't do that, but you get the point right?)
Then they shouldn't have to make such an important decision like changing genders/sexualities.
All I would say is we have enough problems already at our hands. Why bother more. 🫠🫠🫠.. nobody qoutes me.
They were crying over royalties. Which mean nothing when you're a billion dollar author
Why that ? How hundred of thousand of dollar are "nothing" ? even one dollar for a fascist is too much.

Lemme enjoy my game.
Go for it, it looks like a cool game

You’re too condescending. You’re not a teacher (I am/was) and being condescending towards those you want to educate will simply make them resent you and go the opposite direction.
I tried your method, it didn't work, if you have another way to unbigot people go for it. So here I'm trying something else. And yes in that case, I want people to understand something by themself. If it means being the teacher, so be it. I don't care about me. Okay ?

Yes. But against propaganda for mutilating poor kids in the name of gender surgery
So, no then...

I'm happy because people with disingenuous intentions didn't get their way.
What disingenuous intention ? To make people understand that financing a fascist or a transphobe is bad is "disingenuous" to you ?

Why? Because slacktivism. People who aren't actually interesting doing anything productive for the cause, but sure as hell love mashing on their keyboards while staying anonymous
Well, that was not the only problem with the game to be honest... #GobelinRevolution